Acclaimed director and actor T.S. Nagabharana, who served as the head of the committee of selection for the Oscars, shares his views on Pan Nalin's Last Film Show and why it had to be the official Indian entry.
The official Indian entry to the Oscars has been a subject of tremendous scrutiny with not one multiple high-profile projects part of the race. However, beating all expectations, the committee in charge has selected Pan Nalin's coming-of-age Gujarati drama Chhello Show or Last Film Show as India's official entry to the upcoming Academy Awards (2023), leaving many surprised and also endeared.
== Data records that have nothing to do with the article ==
........
(1)
Material: Ba2SmOsN6
Method: DFT, PBE
State: relaxed

extended XYZ file:
```
10
Lattice="5.276 -3.044 0.000 5.276 3.044 0.000 -3.521 0.000 4.975" Properties=species:S:1:pos:R:3 pbc="T T T"
Ba 1.763 0.000 1.242
Ba 5.267 0.000 3.733
Sm -1.761 0.000 2.488
Os 5.276 0.000 0.000
N 2.527 1.374 3.836
N 0.142 0.000 3.884
N 4.503 1.374 1.139
N 2.527 -1.374 3.836
N 6.888 0.000 1.091
N 4.503 -1.374 1.139
```

As for the energy above the most stable polymorph in this dataset: 0 meV/atom.

---

(2)
Material: NdIn2S4
Method: DFT, PBE
State: relaxed

extended XYZ file:
```
14
Lattice="3.398 -4.896 0.000 3.398 4.896 0.000 0.000 0.000 10.228" Properties=species:S:1:pos:R:3 pbc="T T T"
Nd 0.000 0.000 2.557
Nd 0.000 0.000 7.671
In 3.308 1.952 0.000
In 3.488 1.952 5.114
In 3.308 -1.952 5.114
In 3.488 -1.952 0.000
S 1.699 2.448 1.987
S 1.699 2.448 8.241
S 1.353 0.591 5.114
S 1.353 -0.591 0.000
S 1.699 -2.448 3.127
S 1.699 -2.448 7.101
S 5.443 0.591 0.000
S 5.443 -0.591 5.114
```

Its energy is -4.77 eV/atom.

---

- Which formula does entry 2 have?
  NdIn2S4
........
The committee set up by the Film Federation of India was headed by noted Kannada filmmaker and actor T.S. Nagabharana who convened with his fellow members of the jury in Chennai recently to carefully pick the entry. The 17-member committee had quite a task on hand to choose from 13 different films from across the country, each carrying its own inherent culture, language, and nuance. However, Pan Nalin's innocent and humane take on the magic of celluloid in Last Film Show impressed everyone for a transparent, unanimous decision.
"The main criteria of the selection was 'Indianness' and Pan Nalin's film brimmed with that. It showcased the ethos and heritage of Indian cinema in such a beautiful way that the foreign audiences would get to see the perfect picture of the Indian nuance. Not many know that Pan Nalin is a seasoned and a very good filmmaker and he, along with producer Siddharth Roy Kapur, has put his heart and soul into the project. It's an incredibly honest film and each actor in the film is living the character," shares T.S. Nagabharana.
The cast of Last Film Show or Chhello Show includes Bhavin Rabri, Vikas Bata, Richa Meena, Bhavesh Shrimali, Dipen Raval, and Rahul Koli. As a semi-autobiographical narrative, the Gujarati film is centered on little boy Samay whose life in rural Gujarat as a tea-seller is turned around when he encounters the magic and science of light that lay behind the celluloid film projection. As he pursues his true passion for the 'film show' with all sincerity, he encounters the looming threat of the digital revolution.
Director Pan Nalin's rather discerning and mature take on this conundrum too has proven to be a factor for the Oscars committee's selection. Speaking about the same, T.S. Nagabharana adds, "There is palpable optimism about the film which impressed us all. The digital era is causing a massive cultural shift around us and we are in the middle of an important changing period at the moment. But the filmmaker treats the subject with great care and shows how the digital revolution impacts the dreamer in this 9-year-old village boy - be it the visuals, the performances, or the use of the background score, everything has been done with precision."
The 13 films up for selection included six Hindi language films, one Tamil, two belonging to Telugu Cinema, one Malayalam , one Gujarati, one Bengali, and one film of the Dimasa language of Assam. Some of the top contenders of the lot were Vivek Agnihotri's The Kashmir Files S.S. Rajamouli's RRR, Rahul Sankrityan's Shyam Singha Roy, and the Malayalam thriller Malayankunju directed by Sajimon Prabhakar.
Despite the influx of the high-profile content, T.S. Nagabharana says that the committee remained unfazed and only judged content on merit. "There was no pressure on any of us to choose to the more popular films. When Indian cinema is competing for International awards, one must only look for authenticity and how much will the selection score over the rest," he adds.
Last Film Show had its World premiere at Tribeca Film Festival in 2021 and won the Golden Spike award at the 66th Valladolid International Film Festival (2021). A joint production of Roy Kapur Films, Jugaad Motion Pictures, Monsoon Films, Marc Duale, and Chhello Show LLP, Last Film Show will release in theatres in Gujarat and other select centers in India on October 14, 2022.